Calling for a Better Future
-- Unrelated to this page: materials data --
-- begin --
This record from Materials Project describes a relaxed Li7NiOF7 crystal. The functional is PBE with a Hubbard U.

Structure (POSCAR):
```
Li7NiOF7
1.0
0.000 -2.074 -2.073
-4.119 10.376 -10.372
6.172 2.073 0.000
Ni F Li O
2 14 14 2
Direct
0.003 0.009 0.005
0.503 0.509 0.005
0.341 0.528 0.679
0.157 0.964 0.314
0.969 0.406 0.937
0.782 0.844 0.564
0.469 0.906 0.937
0.094 0.784 0.188
0.841 0.028 0.679
0.225 0.158 0.448
0.657 0.465 0.314
0.282 0.344 0.564
0.594 0.284 0.189
0.725 0.658 0.448
0.903 0.223 0.809
0.403 0.722 0.808
0.560 0.681 0.121
0.307 0.936 0.615
0.249 0.749 0.498
0.749 0.249 0.498
0.128 0.369 0.256
0.807 0.436 0.615
0.185 0.570 0.370
0.437 0.307 0.874
0.685 0.070 0.370
0.380 0.130 0.761
0.880 0.630 0.761
0.937 0.807 0.874
0.060 0.181 0.121
0.628 0.869 0.256
0.031 0.592 0.061
0.531 0.092 0.061
```

Computed properties:
Formation enthalpy at 0 K: -45.74 eV/f.u.
MP2020-corrected energy: -0.3823 Ry per atom
Calculated total energy: -4.80 eV per atom
Density: 3.0 g/cm3

=====

A plane-wave DFT calculation with GGA-PBE was carried out for an optimized crystal structure of NdEu2SbO6.

Cell and atoms, written as POSCAR:
```
NdEu2SbO6
1.0
0.000 4.283 4.283
4.283 0.000 4.283
4.283 4.283 0.000
Nd Eu Sb O
1 2 1 6
direct
0.000 0.000 0.000
0.250 0.250 0.250
0.750 0.750 0.750
0.500 0.500 0.500
0.267 0.267 0.733
0.267 0.733 0.267
0.267 0.733 0.733
0.733 0.267 0.267
0.733 0.267 0.733
0.733 0.733 0.267
```

Its total energy is -8.381 eV/atom. The calculation puts the MP2020-corrected energy at -8.79 eV/atom. The formation energy is -2.88 eV per atom. The symmetry is Fm-3m (225).
-- stop --

[Here the entry breaks off for data records]
! GGA+U Li9Mn2Co5O16, relaxed; values from VASP
&SYSTEM
  ibrav = 0, nat = 32, ntyp = 4
/
ATOMIC_SPECIES
Co 58.93 Co.upf
O 16.00 O.upf
Mn 54.94 Mn.upf
Li 6.94 Li.upf
ATOMIC_POSITIONS angstrom
Co -0.8640 -5.2392 -2.6969
Co -1.3605 -19.7633 -0.5713
Co -0.6821 -9.8623 -0.3014
Co -2.0420 -29.5949 -0.8793
Co -1.1777 -24.4146 1.8377
O -1.5547 -35.3276 3.4147
O -2.0074 -38.1210 2.0171
O -0.7214 -1.4931 -3.1714
O -1.1659 -4.2774 -4.5308
O -1.0261 -20.6165 1.3922
O -0.5634 -6.1880 -0.8739
O -1.3048 -28.0897 2.3682
O -1.3906 -11.3032 -3.4241
O -2.1662 -33.2169 -0.3511
O -1.2079 -16.0287 -0.9921
O -1.9206 -25.8793 -1.4513
O -1.7349 -30.4887 0.9590
O -1.6974 -18.8728 -2.5596
O -1.4810 -23.4540 -0.0027
O -1.0171 -9.0054 -2.2689
O -0.8352 -13.5980 0.1170
Mn -0.0032 -0.0329 -0.0056
Mn -1.5435 -15.0790 -2.9922
Li -0.4326 -2.7049 -1.3245
Li -1.4180 -31.6932 2.9461
Li -1.8584 -34.2647 1.5396
Li -1.6093 -27.0182 0.4866
Li -1.1112 -12.4065 -1.6591
Li -1.7940 -22.3771 -1.9291
Li -0.9311 -17.2158 0.7867
Li -1.2954 -7.8119 -4.0573
Li -2.2986 -36.7460 0.1060
CELL_PARAMETERS angstrom
-1.9267 -0.1850 -2.2781
0.8814 -0.3623 -2.8334
-1.6783 -38.9485 3.9456
! Crystal system   monoclinic
! Excess energy over the best structure of this formula in the dataset   0.137 eV/atom
! DFT formation energy   -1727 meV per atom
! Symmetry   Cm, No. 8


! GGA+U Li2MnVP3O12, relaxed; values from VASP
&SYSTEM
  ibrav = 0, nat = 38, ntyp = 5
/
ATOMIC_SPECIES
O 16.00 O.upf
P 30.97 P.upf
V 50.94 V.upf
Mn 54.94 Mn.upf
Li 6.94 Li.upf
ATOMIC_POSITIONS angstrom
O -3.7284 3.4350 9.5861
O -2.5631 1.9393 14.1830
O 0.9789 -0.3306 8.6236
O -0.3828 0.9576 4.1632
O -2.3660 3.7758 11.7468
O 1.3683 2.9776 9.4647
O -1.6808 3.5881 6.9876
O -1.2266 -0.5325 11.3753
O -0.5417 -0.6466 6.5790
O -1.3587 3.1263 3.2812
O -0.3662 -3.2054 8.7372
O -1.5223 0.1003 8.7309
O -3.6222 5.2356 7.1848
O -2.3913 6.0616 9.7199
O -4.0247 2.7601 6.6097
O 0.0070 1.6639 7.5355
O 1.0983 0.2781 11.7483
O -2.9676 1.4519 10.9097
O -0.2868 5.2283 8.6165
O -2.9729 4.3972 4.9682
O -4.1711 0.0386 8.8640
O 0.0563 -1.3907 13.3798
O -1.2455 2.8857 9.7094
O 0.7327 -2.1661 11.1469
P -2.2831 1.1321 15.4389
P -0.5637 1.8291 2.9466
P 0.1659 -0.9352 11.9272
P -0.2738 0.1654 7.8449
P -3.0485 3.9475 6.4611
P -2.5829 2.9152 10.4652
V -2.6664 -0.4039 10.1683
V -0.1338 3.4160 8.1891
Mn -3.0824 4.0330 13.5806
Mn 0.1786 -0.9721 4.8311
Li -3.8166 1.4292 12.7341
Li 1.4626 1.0642 9.9835
Li -4.4761 2.0091 8.5045
Li -1.8935 5.7143 11.5901
CELL_PARAMETERS angstrom
-4.4047 6.4740 4.2706
-1.1729 -5.3703 6.4868
2.7248 1.9194 7.6163
! Crystal system   triclinic
! Excess energy over the best structure of this formula in the dataset   0.005 eV/atom
! DFT formation energy   -2595 meV per atom
! Symmetry   P1, No. 1


Which of these has the lowest excess energy over the best structure of this formula in the dataset? Li2MnVP3O12


What is the DFT formation energy in the first record? -1727 meV per atom
[The entry goes on]
  • National Newswatch

Crystal structures, as found in the file:
<<<
K3TaS4 after structural relaxation, computed with meta-GGA r2SCAN.

As for the total energy: -13.822 eV/atom.

It has space group Pnma (No. 62), with a = 9.3128 Å, b = 10.7564 Å, c = 9.4702 Å, α = 90.00°, β = 90.00° and γ = 90.00°. The asymmetric unit holds K at (0.0596, 0.0445, 0.2130), K at (0.1339, 0.7500, 0.4223), Ta at (0.2128, 0.7500, 0.9877), S at (0.0096, 0.2500, 0.9121), S at (0.1665, 0.0755, 0.5519) and S at (0.1885, 0.7500, 0.7486).


LaY3 after structural relaxation, computed with meta-GGA r2SCAN.

As for the total energy: -22.588 eV/atom.

It has space group I4/mmm (No. 139), with a = 5.2238 Å, b = 5.2238 Å, c = 10.1026 Å, α = 90.00°, β = 90.00° and γ = 90.00°. The asymmetric unit holds La at (0.0000, 0.0000, 0.0000), Y at (0.0000, 0.0000, 0.5000) and Y at (0.0000, 0.5000, 0.2500).


RbCrF3 after structural relaxation, computed with meta-GGA r2SCAN.

As for the total energy: -10.520 eV/atom.

It has space group P4/mmm (No. 123), with a = 4.1867 Å, b = 4.1867 Å, c = 4.1743 Å, α = 90.00°, β = 90.00° and γ = 90.00°. The asymmetric unit holds Rb at (0.0000, 0.0000, 0.0000), Cr at (0.5000, 0.5000, 0.5000), F at (0.0000, 0.5000, 0.5000) and F at (0.5000, 0.5000, 0.0000).


RbGeCl3 after structural relaxation, computed with meta-GGA r2SCAN.

As for the total energy: -10.686 eV/atom.

It has space group P2_1/m (No. 11), with a = 5.8344 Å, b = 6.9879 Å, c = 7.9529 Å, α = 90.00°, β = 105.88° and γ = 90.00°. The asymmetric unit holds Rb at (0.1742, 0.2500, 0.2935), Ge at (0.4310, 0.2500, 0.8800), Cl at (0.1730, 0.7500, 0.1294) and Cl at (0.3137, 0.0050, 0.6778).


InH3O3 after structural relaxation, computed with meta-GGA r2SCAN.

As for the total energy: -8.644 eV/atom.

It has space group R-3 (No. 148, hexagonal axes), with a = 11.2179 Å, b = 11.2179 Å, c = 6.9413 Å, α = 90.00°, β = 90.00° and γ = 120.00°. The asymmetric unit holds In at (0.0000, 0.0000, 0.0000), In at (0.0000, 0.5000, 0.0000), H at (0.0346, 0.7923, 0.9178), H at (0.0906, 0.2240, 0.6801), O at (0.0022, 0.1642, 0.1698) and O at (0.0498, 0.2685, 0.6014).


LaZn11 after structural relaxation, computed with meta-GGA r2SCAN.

As for the total energy: -10.907 eV/atom.

It has space group C2/m (No. 12), with a = 12.5376 Å, b = 10.5553 Å, c = 6.7948 Å, α = 90.00°, β = 122.73° and γ = 90.00°. The asymmetric unit holds La at (0.2494, 0.0000, 0.3744), Zn at (0.0000, 0.0000, 0.5000), Zn at (0.0000, 0.5000, 0.0000), Zn at (0.0444, 0.1225, 0.8647), Zn at (0.0441, 0.3773, 0.7231), Zn at (0.1272, 0.2056, 0.5563), Zn at (0.1272, 0.2944, 0.1974), Zn at (0.2496, 0.0000, 0.8747) and Zn at (0.2500, 0.2500, 0.0000).

~~~~~

This record from Materials Project describes a relaxed MgPO7 crystal. The functional is PBE.

Lattice parameters (Å, degrees): 10.7311 10.0317 10.5521 90.00 90.00 90.00
Fractional coordinates of all 72 atoms:
Mg  0.3996  0.8182  0.2217
Mg  0.6004  0.3182  0.2783
Mg  0.1004  0.1818  0.7217
Mg  0.8996  0.6818  0.7783
Mg  0.6004  0.1818  0.7783
Mg  0.3996  0.6818  0.7217
>>>
Last year at this time everyone was talking about populism, the Alt-Right movement, authoritarianism and what seemed like the slide towards global anarchy.  These were, and remain, significant enough to undo more enfeebled democracies around the world.  While the outsized dealings of Donald Trump continue to sow confusion and alarm, other developed nations face their own challenges.Looking through the entrails of the recent federal election in Canada, we are reminded again that our troubles and challenges remain manageable and hardly out of control.  And the results made it obvious that Canadians used the ballot box to vent their mostly progressive leanings and values.  It's just that they spread their preferences around to other parties, having grown leery of Trudeau's previous majority government.The Conservatives have their own issues along the same lines, as other parts of the nation took a long look at Andrew Scheer's policies and performance but placed their mark elsewhere.The make-up of this new parliament, besides being more diverse, is nevertheless stubbornly regional, with the entrenched Conservative leanings of Alberta and Saskatchewan destined to make compromise a difficult thing to achieve.But the ultimate challenge before the new parliament will be effectively responding to the growing disillusionment among Canadians in general.  Millions of them voted but they weren't particularly happy about it.  Sunny ways have given way to partial clouds.However this next government is crafted, if it fails to offer a better future, the danger of factionalism will inevitably gain the upper hand.  Compromise among the parties surely won't be easy, but there is no path forward without it.  Failure to do so means losing the future and the Canadian ability to shape it.What needs to be accomplished in the near future is hardly obscure or irrelevant.  Climate change is merely the most obvious urgency to have come out of this past election.  What has been accomplished in previous years has been insufficient to gain the approval of the electorate and remains high on the “to-do” list.  The implications of climate change for the economy, for the regions, for Indigenous communities, our historically functional hegemony and the fate of the world are enormous and difficult to attain.Recent decades have resulted in a politics of aspiration instead of effectiveness.  How else to explain rising homelessness, troubling loss of political trust, declining investments in foreign aid and international development, the bottom line of the employment market and the erosion of democracy itself.  These aren't the fault of any one government but have been emerging for years without substantial remedy.  Our tinkering has now landed us in trouble.We are all intelligent enough to know that the lack of effective solutions on these issues will eventually drive citizens towards authoritarianism, as other nations have shown.  This past election has provided Canada with something of a respite, however.  A more diverse parliament gets one more chance to show its relevance before more extreme solutions are put on the table.  The durable Canadian social contract that has survived for decades is now under suspicion and the governments meant to oversee it are losing the trust of voters.Homeless must be reduced.  Mental illness requires serious investment.    More affordable housing is a must.  Meaningful work with adequate wages and benefits is the only thing that can keep the middle from sliding into economic marginalization.  Adequate universal healthcare must be maintained.  And, above all, an effective national initiative for the reduction of carbon can wait no longer.  Providing the odd boutique program to address such issues no longer works – Canadians are now seasoned enough to see through their lack of substance.Ultimately, this is Justin Trudeau's dilemma to solve.  Much of the goodwill demonstrated by Canadians in 2015 has now eroded and he will have to prove far more adept at working with his opponents.  Can he accomplish it?  We should all hope he does, since the future of Canada in this age of skepticism could easily become something darker and meaner.The one thing political progressives have lacked in recent years and which leaves us in this precarious state is the unwillingness to collaborate.  The “our party, do or die” approach is killing politics as we know it and jeopardizing our collective future in the process.  If western nations don't undertake their due diligence in such matters, the insights of Eric Voegelin, the German-American philosopher who escaped Nazi forces in 1938 and ended up in America, might become a reality:“The new absoluteness of evil is not introduced into the situation by the revolutionary; it is the reflex of the actual decline of the society from which the revolutionary emerges.  The revolutionary crisis of our age is distinguished … by the fact that the moral substance of Western society has diminished to the vanishing point.”Our modern democratic societies are at their most vigilant when they are the most effective at addressing the overriding problems of their citizens.  This is what the new parliament must deliver, despite its many differences, because the darkening clouds on the horizon are reminding us of the more troubling alternatives.Glen Pearson was a career professional firefighter and is a former Member of Parliament from southwestern Ontario. He and his wife adopted three children from South Sudan and reside in London, Ontario. He has been the co-director of the London Food Bank for 32 years. He writes regularly for the London Free Press and also shares his views on a blog entitled “The Parallel Parliament“. Follow him on twitter @GlenPearson.